A Wyoming Public Media podcast on where humans and our habitat meet has come back after a two-year hiatus. HumaNature's new season is currently underway. Wyoming Public Radio’s Kamila Kudelska spoke with the new HumaNature host and producer Megan Feighery on how the podcast was revived and her personal connections to the show.
The following transcript has been lightly edited for brevity and clarity.
Next to the text, the page also holds data records.
=====
C14H20CaCsFKN4NaO18S5 | the ωB97M-V functional and the def2-TZVPD basis

Structure (XYZ):
```
66
C14H20CaCsFKN4NaO18S5 the ωB97M-V functional and the def2-TZVPD basis
O -1.081 -4.738 -1.679
N 0.023 -5.041 -1.365
O 0.923 -4.259 -2.305
S 2.323 -3.832 -1.694
O 2.650 -4.556 -0.507
O 3.353 -4.140 -2.699
N 2.393 -2.291 -1.410
S 0.977 -1.583 -1.488
O 0.529 -1.333 -2.806
O -0.055 -2.223 -0.692
N 1.266 -0.075 -0.732
C 1.806 -0.326 0.341
S 2.491 -0.687 1.649
K -0.973 -1.737 1.482
Ca 4.783 -5.525 -2.160
C -3.167 2.582 0.778
C -3.516 3.736 0.184
C -3.198 5.070 0.819
O -3.518 6.082 0.235
C -2.506 5.059 2.110
C -2.156 3.892 2.676
C -2.470 2.579 2.018
O -2.113 1.521 2.530
O -1.519 3.813 3.839
O -4.116 3.704 -0.968
H -3.386 1.627 0.322
H -2.287 6.012 2.570
H -1.390 2.864 4.013
H -4.296 4.611 -1.275
O -5.636 1.067 -2.617
S -4.701 1.494 -3.675
O -5.125 0.977 -4.987
O -3.356 0.961 -3.359
O -4.673 2.969 -3.728
C -6.782 -4.966 -1.612
C -5.670 -4.446 -0.734
O -5.872 -3.927 0.341
N -4.380 -4.576 -1.190
C -3.913 -5.156 -2.418
H -7.727 -4.789 -1.112
H -6.792 -4.445 -2.570
H -6.670 -6.039 -1.779
H -3.693 -4.206 -0.554
H -3.234 -5.983 -2.179
H -3.357 -4.408 -2.972
H -4.732 -5.526 -3.034
C 3.995 1.938 -1.377
C 4.899 2.347 -0.186
O 5.783 3.178 -0.443
O 4.594 1.767 0.871
H 4.306 2.458 -2.292
H 4.063 0.866 -1.559
H 2.950 2.186 -1.144
Na 3.104 3.542 -3.450
C 5.806 1.484 4.980
S 7.412 1.647 4.218
O 8.366 2.079 5.272
C 7.024 3.058 3.209
H 5.849 0.664 5.695
H 5.588 2.422 5.494
H 5.071 1.264 4.203
H 6.698 3.870 3.860
H 6.243 2.782 2.496
H 7.920 3.352 2.667
Cs -2.166 -4.450 -4.435
F 7.038 3.742 6.310
```

Values from the calculation:
Calculated total energy: -154261.992 eV
HOMO-LUMO gap: 1.054 eV
Multiplicity: 1
Net charge: 0
Strongest force on any atom: 0.104 Eh/bohr
E_HOMO: -5.371 eV
LUMO energy: -4.3 eV

Mulliken charges in e:
1. O -0.17
2. N 0.05
3. O -0.26
4. S 1.24
5. O -0.73
6. O -0.99
7. N -0.25
8. S 1.39
9. O -0.65
10. O -0.72
11. N -0.40
12. C 0.34
13. S -0.20
14. K 1.04
15. Ca 0.84
16. C -0.83
17. C 0.05
18. C 0.74
19. O -0.60
20. C -0.98
21. C 0.31
22. C 1.31
23. O -0.70
24. O -0.57
25. O -0.30
26. H 0.49
27. H 0.44
28. H 0.33
29. H 0.32
30. O -0.61
31. S 1.24
32. O -0.64
33. O -0.59
34. O -0.61
35. C -1.25
36. C 0.81
37. O -0.61
38. N 0.07
39. C -1.74
40. H 0.29
41. H 0.35
42. H 0.35
43. H 0.14
44. H 0.53
45. H 0.48
46. H 0.58
47. C -0.54
48. C 0.54
49. O -0.73
50. O -0.67
51. H -0.03
52. H 0.24
53. H 0.25
54. Na 0.96
55. C -0.79
56. S 0.51
57. O -0.48
58. C -0.52
59. H 0.33
60. H 0.33
61. H 0.21
62. H 0.34
63. H 0.02
64. H 0.34
65. Cs 1.02
66. F -0.65

C5H13NO | the ωB97M-V functional and the def2-TZVPD basis

Structure (XYZ):
```
20
C5H13NO the ωB97M-V functional and the def2-TZVPD basis
C 0.830 0.771 -1.668
C 0.456 0.448 -0.249
C 0.942 -1.031 0.039
C -0.122 -2.039 0.331
C -0.953 -2.217 1.391
N 1.087 1.260 0.837
H 0.494 1.754 -2.075
H 0.338 0.095 -2.367
H 1.917 0.666 -1.788
H -0.574 0.423 -0.096
H 1.530 -1.364 -0.834
H 1.639 -0.982 0.877
H -0.161 -2.951 -0.337
=====
Megan Feighery: It was my first gig in public radio. So, I was finishing grad school in 2019. And I realized, “Oh, no, I was doing grad school to put off adult life for a few years. And now it's ending and I gotta figure something out.” And so I thought about what I really wanted to do. And I thought, “Well, I listen to podcasts a lot. And most of them are public radio podcasts. Maybe I could do podcasts for public radio.”
So I started emailing and cold-calling stations all across the U.S., and Wyoming said yes. They picked up first. And they said yes. And they said, “If you can come out to Laramie – if you can get out to Laramie from Southern California – you can spend as long as you want here. And we will teach you everything that we know.” And so I packed up my car and I drove from Southern California to Laramie, Wyoming. And I started interning on this podcast that I'd never heard of called HumaNature.
Kamila Kudelska: And what about HumaNature kept you on?
MF: So I mean, there's lots of podcasts. And some are interesting. Some don't float my boat. But I found that I really liked HumaNature. And I found that I had a pretty good knack for storytelling, and HumaNature is pretty much all storytelling. And I really liked that. I got very invested in what we were doing and the kinds of stories we were telling. I thought it was so fun to piece it all together. It was like a big audio puzzle. I have to say that I really did fall in love with HumaNature the podcast.
KK: It was about two years ago due to many reasons, HumaNature went on pause. So how did this revival come about?
MF: The station manager gave me a phone call, and said, “Hey, we want to bring the show back. It's been too long. It's a great show. We have a lot of fans. They want it back. We've heard from people. And if you're interested, and you have the time, would you want to be the host, producer or everything all in one, kind of a team of one?” And I just couldn't pass it up. So I said, “Yeah, absolutely.” Because from the second I started HumaNature, I wanted to host it. That was my dream, but I never actually thought it would happen.
KK: Obviously, you're a little different than the original host. You’re a whole different person. So how do you think you add personally to the new episodes? And what would you say to longtime fans of the podcast that they should or can expect?
MF: I would say to longtime fans that you're always going to hear classic HumaNature episodes that you can recognize. Those are never ever gonna go away, because they're fun and I love them. But you also can expect to hear some different episodes. Because starting out, I thought maybe some of these aren't exactly what we would have done before, but they're stories I really love and I'm really passionate about. And so I'm just gonna go for it and see what happens.
And maybe I throw a bunch of spaghetti at the wall, and it all falls off. But maybe some of it sticks, and maybe some people like the new style and episodes. I've also put myself a little more into these episodes than we would have done in the past. And I don't know, I think it adds a really nice personal touch. I want people to know me. I want people to know me as the host of HumaNature. I like putting myself out there and putting a little more of a personal spin on it. And hopefully, people really like what I'm doing.
KK: Can you explain to listeners that maybe haven't heard it yet, what is the premise of HumaNature? What do they expect to hear?
MF: Yes. Our tagline is, “real stories where humans and our habitat meet.” And really all that means is it's stories of folks just doing incredible things in the outdoors. Or sometimes it's about folks that have incredible things done to them by mother nature. It's people's experience and connection with animals with outdoor activities. We've done everything from grizzly bear attacks to the first all-black climbing team to summit Mount Kilimanjaro. We just did an episode on a massive animal rescue that an animal sanctuary in Wyoming had a big part in. In a world that is losing touch with nature and [with] climate anxiety on the rise, I think it's a really good reminder of why folks should care about the world outdoors and that there's still a lot of really great people out there having connections in nature.
KK: You already mentioned a couple of stories, but what was your favorite story that you worked on for this new season?
MF: My personal favorite is the first episode. It's Reggie the alligator. It's the story I instantly knew I wanted to do. Probably not one you’ve heard before. And it's all because it was a story that I followed when I was in college in Southern California. So it's a little bit personal to me. But I also think it's just a super fun episode. It's not often that an episode about an alligator being dumped after getting too big for someone's backyard in the middle of Los Angeles gets a happy ending. But this one does. I won't spoil it, but it's a happy alligator story.
KK: It was a good one. And so like you mentioned, the theme of the podcast is where humans and our habitats meet. That's a pretty general theme. So how do you go about when you're trying to find stories? The one you just mentioned was one you knew right away, but for the rest? How did you go about finding these stories and deciding that maybe this is the right one for HumaNature?
(1)
Computed, not measured: a molecular structure, C9H10BiO5 at a distorted geometry, with ωB97M-V/def2-TZVPD.

CARTESIAN COORDINATES (ANGSTROEM)
Bi 0.000 0.000 -0.136
O -0.007 3.796 0.319
O 0.000 0.000 2.266
O 3.783 0.007 0.066
O -3.775 -0.006 0.066
O 0.007 -3.795 0.319
C -0.005 2.662 0.166
C 0.001 -0.709 -2.573
C 0.000 0.000 3.518
C -0.001 0.708 -2.573
C -2.647 -0.007 -0.031
C -1.112 0.714 4.195
C 1.112 -0.714 4.194
C 0.005 -2.662 0.167
C 2.639 0.007 -0.032
H 0.978 -0.625 5.274
H -0.931 -1.256 -2.772
H -1.105 1.779 3.897
H 0.931 1.255 -2.772
H -0.977 0.625 5.275
H -0.935 1.252 -2.772
H 2.078 -0.268 3.892
H -2.078 0.268 3.893
H 0.935 -1.252 -2.772
H 1.105 -1.779 3.896

Charge = +3
E = -25536.5712 eV
LUMO level = -0.51975 hartree
E_HOMO = -21.2 eV
Orbital gap = 7.073 eV


(2)
Computed, not measured: C9H10Br2Si in the gas phase at a distorted geometry, with ωB97M-V/def2-TZVPD.

CARTESIAN COORDINATES (ANGSTROEM)
Br 3.093 -0.661 1.352
Br 2.565 0.491 -1.985
Si 1.505 0.173 -0.016
C 0.985 1.943 0.779
C 0.026 -0.993 -0.233
C -2.193 -2.618 -0.796
C 0.671 2.045 2.052
C -0.294 -1.316 -1.584
C 1.045 3.170 -0.087
C -1.431 -2.115 -1.825
C -0.697 -1.654 0.788
C -1.816 -2.481 0.535
H -2.336 -2.897 1.454
H -1.583 -2.327 -2.883
H -0.423 -1.445 1.859
H -3.172 -3.127 -1.115
H 0.224 -0.881 -2.290
H 0.146 2.841 2.401
H 0.213 3.140 -0.878
H 0.516 1.186 2.668
H 0.939 4.133 0.490
H 2.017 3.393 -0.685

E = -157459.0512 eV
LUMO level = 0.01608 hartree
E_HOMO = -9.7 eV
Orbital gap = 10.100 eV


(3)
Computed, not measured: C9H10BrNO3S in the gas phase at a distorted geometry, with ωB97M-V/def2-TZVPD.

CARTESIAN COORDINATES (ANGSTROEM)
Br 3.249 -1.062 -0.243
S -0.898 -1.838 0.447
O -2.221 1.349 -0.843
O -0.252 -2.766 -0.511
O -0.476 -1.863 1.853
N -1.803 -0.418 -2.192
C 0.950 1.704 -0.539
C 1.795 2.611 -0.084
C 2.562 0.896 1.615
C -1.626 0.335 -1.106
C -2.721 -1.962 0.315
C -0.513 -0.229 -0.227
C 1.795 -0.093 0.843
C 0.663 0.392 -0.031
C 2.600 2.109 1.053
H -3.200 -2.566 -0.457
H 3.144 2.894 1.645
H -2.606 -0.182 -2.677
H -2.946 -0.953 0.459
H -1.164 -1.172 -2.396
H 3.078 0.601 2.518
H 1.912 3.569 -0.608
H -3.128 -2.425 1.166
H 0.471 1.925 -1.458
H 1.336 -0.858 1.460

E = -98002.8111 eV
LUMO level = -0.03345 hartree
E_HOMO = -8.8 eV
Orbital gap = 7.902 eV


(4)
Computed, not measured: a molecular structure, C9H10CaN2S at a distorted geometry, with ωB97M-V/def2-TZVPD.

CARTESIAN COORDINATES (ANGSTROEM)
Ca 0.197 0.476 0.809
S 0.765 1.959 2.923
N -1.248 1.243 4.732
N -1.069 -1.273 0.639
C -0.713 0.688 -1.719
C -0.975 1.936 -1.100
C 0.277 2.520 -0.711
C 0.706 0.465 -1.707
C 1.324 1.603 -1.064
C 1.240 -1.865 0.634
C -0.548 -3.041 -0.795
C -0.132 -2.139 0.180
C -0.409 1.493 3.935
H 2.402 1.678 -0.807
H 0.418 3.474 -0.210
H 1.484 -1.911 1.703
H -1.422 0.042 -2.251
H 2.003 -1.418 -0.034
H -1.937 2.409 -1.030
H 1.228 -0.444 -2.112
H -2.076 -1.376 0.479
H 0.063 -3.616 -1.457
H -1.578 -2.904 -1.039

Charge = -2
E = -41747.9409 eV
LUMO level = 0.19534 hartree
E_HOMO = 1.1 eV
MF: Sometimes they get pitched to me. We're always accepting pitches for HumaNature. If you have a story you want to tell, send me an email. It's really that simple. Find us on social media, send us a pitch, and I'll get back to you either way. Other than that, I go to a lot of outdoor blogs and just look for stories that people write. I keep an eye out in the news for any stories that might catch my attention. And I think something important moving forward is I'm trying to think about nature and the outdoors in a different way. It's not always going to be in the Rocky Mountains. It can be, but also sometimes you can find nature in urban settings, or in suburban settings or in unexpected places. And so broadening what it means, I think, has been really important.
**Data records, kept here for reference:**
-- begin --
ORCA calculation (ωB97M-V/def2-TZVPD) on a cluster of 12 separate species, C30H57N7O5S5 in total.

Structure (XYZ):
```
104
Properties=species:S:1:pos:R:3
C 16.36 27.62 2.78
S 17.89 28.11 3.78
O 19.02 28.39 2.81
C 17.15 29.78 3.98
H 15.41 28.02 3.13
H 16.19 26.55 2.83
H 16.53 27.89 1.74
H 16.39 29.58 4.74
H 16.80 30.15 3.01
H 17.84 30.53 4.36
C 23.81 26.31 13.25
S 22.70 27.73 13.77
O 23.62 28.94 13.70
C 21.72 27.65 12.20
H 23.57 25.28 13.48
H 24.73 26.52 13.79
H 24.12 26.39 12.21
H 21.07 28.52 12.29
H 21.06 26.78 12.17
H 22.34 27.57 11.31
C 20.01 31.43 5.73
S 21.66 31.61 6.54
O 22.52 30.60 5.76
C 22.13 33.30 5.94
H 20.25 31.70 4.70
H 19.34 32.19 6.14
H 19.58 30.43 5.83
H 23.21 33.40 6.08
H 21.54 34.13 6.34
H 21.98 33.39 4.87
C 27.83 28.30 8.33
S 27.15 27.58 9.90
O 26.10 28.49 10.52
C 26.17 26.17 9.21
H 27.25 28.27 7.40
H 28.73 27.71 8.13
H 28.13 29.34 8.41
H 25.51 26.66 8.49
H 25.64 25.74 10.06
H 26.79 25.46 8.67
C 25.34 30.57 6.72
S 26.67 30.78 5.48
O 27.27 29.34 5.30
C 25.53 31.04 3.99
H 24.57 29.88 6.38
H 24.91 31.56 6.84
H 25.66 30.23 7.70
H 26.16 31.32 3.15
H 24.84 31.85 4.23
H 25.03 30.08 3.85
C 21.92 29.02 2.97
C 22.31 30.10 2.13
N 22.61 30.97 1.46
H 21.67 28.19 2.32
H 20.99 29.23 3.49
H 22.76 28.81 3.63
C 17.65 27.64 8.32
C 18.37 28.75 9.01
N 18.97 29.62 9.47
H 16.63 27.48 8.66
H 18.23 26.72 8.36
H 17.67 27.98 7.29
C 20.12 24.45 9.03
C 21.40 24.47 9.64
N 22.40 24.49 10.21
H 19.51 23.58 9.25
H 20.12 24.54 7.94
H 19.55 25.18 9.60
C 22.78 28.40 8.31
C 21.70 27.62 7.73
N 20.78 27.07 7.27
H 22.80 29.41 7.89
H 23.71 27.89 8.10
H 22.73 28.55 9.39
N 25.76 25.74 5.72
C 25.06 26.73 5.12
C 23.71 26.48 5.34
C 23.64 25.33 6.15
C 24.98 24.88 6.28
H 26.76 25.78 5.59
H 25.51 27.52 4.53
H 22.85 27.01 4.98
H 22.70 24.91 6.48
H 25.44 24.03 6.76
N 23.20 30.47 11.30
C 24.09 30.94 10.30
C 23.43 31.77 9.46
C 22.14 31.81 9.93
C 21.97 31.03 11.06
H 23.42 29.93 12.13
H 25.16 30.83 10.36
H 23.87 32.31 8.63
H 21.38 32.40 9.45
H 21.11 30.82 11.67
N 18.56 23.39 3.36
C 19.67 22.52 3.33
C 20.57 22.92 4.31
C 19.97 24.11 4.90
C 18.73 24.30 4.39
H 17.73 23.21 2.81
H 19.82 21.70 2.64
H 21.56 22.52 4.48
H 20.42 24.71 5.68
H 18.02 25.12 4.48
```

Calculated values
LUMO energy, eV: -0.02
Relative energy (zero: lowest compared OMol25 entry of this formula, charge and spin), kcal per mole: 0.0
Highest occupied orbital energy, eV: -7.6
Spin multiplicity: 1
Frontier orbital gap, eV: 7.6

Atom charges from the Mulliken analysis, given in e for atoms 1 to 6: number 1, C, carries -1.12; number 2, S, carries 0.81; number 3, O, carries -0.69; number 4, C, carries -0.94; number 5, H, carries 0.37; number 6, H, carries 0.32

***

ORCA calculation (ωB97M-V/def2-TZVPD) on a cluster of 14 separate species, C30H58BCl2N6O38 in total.

Structure (XYZ):
```
135
Properties=species:S:1:pos:R:3
O -1.22 -2.06 -3.16
C -0.95 -1.48 -2.11
O -0.06 -0.58 -2.01
B -0.02 0.04 -0.64
O -1.01 -0.83 0.13
C -1.45 -1.77 -0.70
O -2.24 -2.67 -0.45
O -0.37 1.47 -0.63
C 0.70 2.18 -0.43
O 0.73 3.43 -0.34
-- stop --
KK: What do you hope people take away after listening?
MF: I hope that they're smiling. Usually, the episodes are pretty happy. And I hope, if you already love the outdoors, you're probably going to feel a connection to a lot of these stories. And if you're the kind of person that I know…myself, for a few years, I lost touch with the outdoors. I got busy. I didn't have time to go outside as much. And actually, when I started working on HumaNature, it was such a good reminder. And it's so important. It makes me feel so good to be outside and be connected with the natural world. So if you're the kind of person who doesn't get outdoors maybe as much as you should – or you think you want to maybe dabble a little bit more in hiking or trying something new – I hope that it inspires you to do that.